## Excerpt
No. 1
Diffraction record for Nd8Si3RhBr4. The PXRD pattern is theoretical, not measured: it uses a structure optimized by DFT (PBE) and Cu Kα X-rays.
Intensities are scaled so that the largest is 100.

Top 8 peaks for 2θ from 10° to 90°, in order of rising 2θ:
Position (°2θ)  intensity
25.43  20
29.10  100
31.60  12
40.86  30
42.38  39
52.24  19
57.28  10
69.45  16

Structure:
```
16
Lattice="7.389 -4.265 0.000 7.389 4.265 0.000 -4.928 0.000 7.349" Properties=species:S:1:pos:R:3 pbc="T T T"
Nd 3.718 2.176 5.189
Nd -0.043 0.000 5.195
Nd 6.132 2.176 2.160
Nd 2.462 0.000 2.107
Nd 7.388 0.000 5.242
Nd 3.718 -2.176 5.189
Nd 9.893 0.000 2.154
Nd 6.132 -2.176 2.160
Si 1.231 2.132 3.674
Si 1.231 -2.132 3.674
Si 4.925 0.000 3.674
Rh -2.464 0.000 3.674
Br 0.000 0.000 0.000
Br 3.695 2.132 0.000
Br 3.695 -2.132 0.000
Br 7.389 0.000 0.000
```



No. 2
Diffraction record for K5Np2F12. The PXRD pattern is theoretical, not measured: it uses a structure optimized by DFT (PBE) and Cu Kα X-rays.
Intensities are scaled so that the largest is 100.

Top 8 peaks for 2θ from 10° to 90°, in order of rising 2θ:
Position (°2θ)  intensity
13.67  100
14.08  82
15.03  50
25.92  59
26.16  40
26.69  42
32.32  33
33.63  27

Structure:
```
19
Lattice="6.912 -4.053 0.000 6.912 4.053 0.000 -3.962 0.000 6.478" Properties=species:S:1:pos:R:3 pbc="T T T"
K 0.000 0.000 0.000
K 1.749 0.000 3.196
K 0.231 0.000 6.339
K 9.631 0.000 0.139
K 8.113 0.000 3.281
Np 4.931 2.048 3.239
Np 4.931 -2.048 3.239
F -1.617 0.000 4.495
F 3.290 1.665 1.664
F 2.986 2.400 4.401
F 6.876 2.400 2.077
F 6.572 1.665 4.814
F 4.242 0.000 4.318
F 5.619 0.000 2.160
F 3.290 -1.665 1.664
F 2.986 -2.400 4.401
F 6.876 -2.400 2.077
F 6.572 -1.665 4.814
F 11.479 0.000 1.982
```



No. 3
Diffraction record for KLiNpI6. The PXRD pattern is theoretical, not measured: it uses a structure optimized by DFT (PBE) and Cu Kα X-rays.
Intensities are scaled so that the largest is 100.

Top 8 peaks for 2θ from 10° to 90°, in order of rising 2θ:
Position (°2θ)  intensity
11.27  29
14.32  37
17.35  19
25.58  100
32.42  59
40.20  34
41.60  30
48.25  15

Structure:
```
18
Lattice="7.772 0.000 0.000 -3.886 6.731 0.000 0.000 0.000 15.705" Properties=species:S:1:pos:R:3 pbc="T T T"
K 0.000 0.000 0.000
K 0.000 0.000 7.852
Li 0.000 4.487 3.926
Li 3.886 2.244 11.778
Np 0.000 4.487 11.778
Np 3.886 2.244 3.926
I -1.407 2.461 10.046
I -2.457 4.282 13.511
I 1.407 2.461 13.511
I -1.051 6.718 10.046
I 2.835 0.013 2.194
I 1.428 2.449 5.658
I 2.457 4.282 10.046
I 1.051 6.718 13.511
I 4.937 0.013 5.658
I 2.479 4.269 2.194
I 6.343 2.449 2.194
I 5.292 4.269 5.658
```



No. 4
Diffraction record for Mg2PaF8. The PXRD pattern is theoretical, not measured: it uses a structure optimized by DFT (PBE) and Cu Kα X-rays.
Intensities are scaled so that the largest is 100.

Top 8 peaks for 2θ from 10° to 90°, in order of rising 2θ:
Position (°2θ)  intensity
15.81  100
18.27  15
25.95  51
30.53  24
40.49  36
41.59  15
45.78  21
56.03  20

Structure:
```
11
Lattice="-3.433 3.433 4.856 3.433 -3.433 4.856 3.433 3.433 -4.856" Properties=species:S:1:pos:R:3 pbc="T T T"
Mg 3.433 0.000 2.428
Mg 0.000 3.433 2.428
Pa 0.000 0.000 0.000
F 4.972 -0.006 1.337
F 3.439 -1.539 3.519
F 1.894 0.006 1.337
F -0.006 1.894 1.337
F 3.427 1.539 3.519
F -1.539 3.427 3.519
F 0.006 4.972 1.337
F 1.539 3.439 3.519
```



Question: Number 2 is which compound?
Answer: K5Np2F12

* * * * *

# 1
This entry pairs a crystal structure of Rb2AgSbS4 with its theoretical powder XRD pattern. Radiation: Cu Kα, 1.54184 Å. Structure: a DFT-relaxed cell (GGA-PBE, Alexandria).

Structural model:
```
data_Rb2AgSbS4
_cell_length_a 13.9819
_cell_length_b 12.5602
_cell_length_c 7.6244
_cell_angle_alpha 83.89
_cell_angle_beta 63.28
_cell_angle_gamma 32.83
_symmetry_space_group_name_H-M 'P 1'
_symmetry_Int_Tables_number 1
loop_
_symmetry_equiv_pos_as_xyz
'x,y,z'
loop_
_atom_site_label
_atom_site_type_symbol
_atom_site_fract_x
_atom_site_fract_y
_atom_site_fract_z
Rb1 Rb 0.0566 0.0566 0.6934
## Work order
Now work out how many lines further up have the word "measured" in them; a number is enough.
## Written answer
4